Mum Launches Website Matching Mums With Part-Time Jobs They'd Actually Want To Do

Mum's Clever Website Matches Mothers With Part-Time Jobs They Actually Want

Juliet Turnbull loves being a mother.

Crystal structures that have nothing to do with the page =
+++
This entry pairs a crystal structure of OsN2 with its simulated X-ray powder pattern. Radiation: Cu Kα (λ = 1.5418 Å). Structure: a cell relaxed with PBE.
Lines closer than 0.1° are merged.

Main lines, by intensity (2θ = 10–90°):
2θ 17.87, rel. 100, (0 0 1)
2θ 36.75, rel. 87, (1 0 0)
2θ 41.14, rel. 79, (1 0 1)
2θ 52.53, rel. 50, (1 0 2)
2θ 68.46, rel. 25, (1 0 3)
2θ 36.19, rel. 24, (0 0 2)

Cell lengths 2.8242, 2.8242, 4.9643 Å; angles 90.00, 90.00, 120.00 degrees
Sites, in units of the cell vectors:
Os 0.0000 0.0000 0.0000
N 0.0000 0.0000 0.3836
N 0.0000 0.0000 0.6164


Computed PXRD pattern of In2Bi2O7 for Cu Kα (λ = 1.5418 Å), from a DFT-relaxed cell (GGA-PBE, Alexandria).
Intensities are scaled so that the largest is 100.

Cell and atoms:
```
data_In2Bi2O7
_cell_length_a 8.1083
_cell_length_b 5.5600
_cell_length_c 14.0756
_cell_angle_alpha 90.00
_cell_angle_beta 98.82
_cell_angle_gamma 90.00
_space_group_name_H-M_alt 'P 1 21 1'
_space_group_IT_number 4
_space_group_name_Hall 'P 2yb'
loop_
_atom_site_label
_atom_site_type_symbol
_atom_site_fract_x
_atom_site_fract_y
_atom_site_fract_z
In1 In 0.0211 0.0000 0.1153
In2 In 0.0740 0.5165 0.3156
In3 In 0.3855 0.9987 0.6794
In4 In 0.4616 0.4842 0.8791
Bi1 Bi 0.1668 0.5633 0.5497
Bi2 Bi 0.2222 0.0013 0.9226
Bi3 Bi 0.2981 0.4653 0.1426
Bi4 Bi 0.3885 0.0254 0.3721
O1 O 0.0313 0.1806 0.8127
O2 O 0.0375 0.7986 0.4292
O3 O 0.0716 0.3444 0.0353
O4 O 0.1462 0.8177 0.6605
O5 O 0.1541 0.2236 0.2257
O6 O 0.2091 0.3401 0.4357
O7 O 0.2219 0.6327 0.8733
O8 O 0.2703 0.8313 0.0880
O9 O 0.3290 0.6466 0.2869
O10 O 0.3582 0.3543 0.6335
O11 O 0.4014 0.7825 0.5483
O12 O 0.4169 0.1259 0.8293
O13 O 0.4274 0.2946 0.0345
O14 O 0.4784 0.2018 0.2405
```

Main lines, in order of rising 2θ (15 to 90 degrees two-theta):
- 25.6 deg, 3.477 Å, intensity 43, hkl 0 0 4
- 26.2 deg, 3.406 Å, intensity 34, hkl 1 1 -3
- 27.4 deg, 3.254 Å, intensity 39, hkl 2 1 0
- 28.8 deg, 3.096 Å, intensity 47, hkl 2 1 -2
- 29.0 deg, 3.081 Å, intensity 100, hkl 2 1 1
- 30.3 deg, 2.948 Å, intensity 28, hkl 0 1 4
- 31.6 deg, 2.831 Å, intensity 84, hkl 2 1 -3
- 31.8 deg, 2.813 Å, intensity 41, hkl 2 1 2
- 32.2 deg, 2.780 Å, intensity 74, hkl 0 2 0
- 44.7 deg, 2.027 Å, intensity 27, hkl 4 0 -1
+++
The page goes on =

She also loves working and, after 12 years working in the property sector, she realised she wanted to build her own company on the terms (and hours) that worked for her as a parent.

Turnbull set up in July 2015, a website that tackles the all-too-frequent problem of women dropping out the workforce when they have children.

She wanted to juggle the demands of being a mother with the demands of a job she loved, yet it seemed clear other parents believed this couldn't be done.

"I wanted to perform those different roles as a woman to the best of my ability," Turnbull told HuffPost UK Parents.

Turnbull and her two children

Turnbull said she kept finding herself in the same conversation with other mums over and over again.

After having kids, they wanted to carry on with their career but they weren't prepared to work full-time hours for it.

"There are so many mothers out there who are highly skilled and have a huge amount to offer but have difficulty combining their career with motherhood," Turnbull explained.

"From my experience, their output is second to none, 'when you want a job done, ask a busy person' couldn’t be more applicable than to a highly capable mother."

But the problem stemmed from mothers not knowing where - or even if - fulfilling part-time roles exist.

She added: "If a mother has been fortunate enough to find a satisfying part-time position, it probably would have been through a dinner party chat or an anecdotal conversation.

"Most mothers believe that the default working position is full-time, a lowly part-time job or no job at all."

Turnbull began researching companies nationwide to see whether there were employers who were willing to employ committed and talented staff on a flexible basis.

And her research revealed there was. Employers knew there was an under-utilised talent pool of mothers out there but had no way to find them.

Enter, the formal meeting place for both mothers and employers to connect.

Turnbull explained: "The aim was to create a compelling community of mothers, employers and experts who could connect and challenge the norms around flexible working.

"We wanted to support companies where people work smarter, not longer and create workplaces where mothers can combine be valued for the contributions they make both at work and home."

Turnbull said the name of the website just naturally rolled off the tongue, adding: "Everyone gets it in a heartbeat."

To get started with the website, Turnbull listed the employers from her research who were open and keen to employ flexible working mothers.

She enrolled the help of software designers to help create a system that matched the criteria of employers with the skills and experience of mothers.

The system was made to generate a shortlist of positions for the mothers, and potential candidates for the employers nationally, both of which appear in their "matchbox".

"We also created an option for mothers to hunt for three different jobs at the same time," Turnbull added.

"This is because so many mothers will have had varied work experiences and may well be qualified to pursue more than one job type.

"We designed a private forum, where mothers can share their worries and concerns and gain the support and advice of likeminded women.

"Mothers can also connect with and arrange to meet other mothers, and mentor each other in their respective professions.

"The site is so much more than just connecting mothers and employers."

Once you're signed up - it currently costs £20 per month per user - you receive your own interactive dashboard.

Services include joining with other mothers to create mentor/mentee relationships, discussing job-shares and reality check exercises which helps mothers get clarity about how much time they are available to work and how much money they want to earn.

What Turnbull really wants to do is get the message out to other mums that flexible and fulfilling work is out there for them.

But the most important point to get you going on your job hunt, she said, is clarity in what you want to do.

She added: "You’ll need to ask yourself some honest questions before you even start looking for work.

"What is your ideal job? What would energise you so that you’re in the right mind-set to juggle home and work? Where does it need to be based? How many hours do you want to work? And how much do you want to earn?

"It might pay to get someone outside your immediate circle to help you answer all those questions and guide you to clarity.

"A career break doesn’t need to look like a hole in your CV, in fact quite the opposite. Mothers develop fantastic transferrable skills bringing up their children which translate directly into the workplace.

"Then it’s time to get organised. Make sure you’ve got the right childcare sorted out so that you don’t feel angst-ridden when you walk out of the house.

"And if you need to refresh your skills, an expert trainer could pay dividends. We’ve created a directory of experts who are on hand for just that reason."
